County awaits governor’s OK for disaster designation

Published 10:28 am Wednesday, December 2, 2015

by Janet Spencer

I was hoping by the time I wrote this newsletter, we would have better news regarding crop conditions, however I guess it’s just not in the cards for us this season.

For the most part, harvest has progressed as well as it could given the amount of rain that’s fallen since September. Peanut yields don’t seem to be quite as low as originally expected and on average, cotton could certainly have been much worse.

I know there are some pockets of really low cotton yields in the county, but overall, I don’t think our county-wide average for this year will be as bad as what we saw in 2010 or 2011. Soybeans are a different story, with significantly depressed yields in our early beans.

There are numerous acres of full-season beans still in the fields, so only time will tell with those. Certainly the sooner we can get them harvested the better. With all of that being said, we did request that the county seek agricultural disaster designation, which was approved at the Nov. 19th Board of Supervisors meeting.

The request will now go to the Governor’s office for approval. Once the county is declared a primary natural disaster area, eligible farmers can be considered for low-interest emergency loans from FSA.

The long-term forecast has beautiful weather predicted so I hope if you still have beans in the field you are able to finish up soon. As this is a combined newsletter, I hope you all have a wonderful Thanksgiving and a Merry Christmas!


County Yield Competitions

Yes, I know crop yields are not where they’ve been the last couple of years, however, please consider entering your yields for the county competitions. In addition to statewide competitions for peanut and soybean, I will once again host county yield awards for these crops plus cotton and sorghum. If you enter the statewide competition, you will automatically be entered into the IOW county competitions, however there is no requirement to enter at both levels.

I will also once again have awards for the following categories: 2-Ton Peanut Club, 2-Bale Cotton Club, and 70-, 80-, 90-, and 100-bushel soybean clubs. Submission deadline is Friday, Jan 8. Official entries will be from the contestant’s FSA control county/city.

Private Pesticide Recertification Classes

‘Tis the season for pesticide recertification classes! If your certificate expires in 2015, you need to attend one of the upcoming courses to receive credit for two more years. Certificates technically expire on Dec. 31st, however, VDACS has a “grace” period through the end of February. Information on the upcoming courses for Isle of Wight and Suffolk can be found below. If you cannot attend either of these two scheduled courses, please call the Extension office for recertification class dates in neighboring counties.

FSA Update

Producers should have received their County Committee Election Ballots by now. Completed ballots must be postmarked and returned to your local FSA office by Monday, Dec. 7. Please vote: It counts!

For more information on the elections or FSA Services, please contact:

• Glen Pierce (Isle of Wight/Surry): 357-7004

• Melanie Lassiter (Suffolk): 539-9265

Upcoming events

• Private Pesticide Applicator Recertification: Friday, Dec. 4 at 9 a.m. in the Isle of Wight Ruritan building, and Friday, Dec. 11 at 1 p.m. in Tidewater AREC, Suffolk.

• Beltwide Cotton Meeting: Jan. 5-7 in New Orleans, LA.

VA Crop Production Assoc. Annual Meeting: Jan. 19-21, Richmond.

• Peanut Production Meeting: Feb. 10 at 9 a.m. in the Airfield 4-H Center, Wakefield.

• Cotton Production Meeting: Feb. 24 in the Regional Workforce Development Center, Franklin.

Registration information and agenda coming soon.

• Vegetable Production Meeting: Feb. 25 at 9 a.m. in Tidewater AREC, Suffolk. More info

coming soon.

Plastic Pesticide Container Recycling Program

Have empty pesticide containers? Need something to do on a rainy day or after harvest? If so, then please consider utilizing this FREE program; all you have to do is bring me your clean (triple or jet-rinsed) containers, with the caps removed.

Why keep a pile of old containers laying around the farm when you can dispose of them in an environmentally-friendly way? Any clean pesticide container can be brought, however I cannot accept mini-bulk containers or drums at this time. Please call the Extension office to set-up a drop-off time.

These data records were left in the article by mistake.
~~~
No. 1
Density functional theory data (PBE) for a relaxed structure of Na2Li4H.

Values from the calculation:
Size of the total moment = 0.0 Bohr magnetons per cell
Total DFT energy (no corrections) = -13.8 eV/cell
SG = I4/mmm, No. 139
V = 149 Å³ per cell
DOS(E_F) = 0.5085 states/eV per atom

The structure in extended XYZ format:
```
7
Lattice="-3.4207 -1.5985 -1.2595 2.0310 -2.5248 -2.3116 1.0000 -4.1383 8.8255" Properties=species:S:1:pos:R:3 pbc="T T T"
Na -0.5804 -4.3875 0.8554
Li 1.0155 -1.2624 -1.1558
Li -0.4545 -6.9453 3.7597
H 0.0000 0.0000 0.0000
Na 0.1907 -3.8741 4.3990
Li -1.7103 -0.7993 -0.6298
Li 0.0648 -1.3163 1.4946
```

No. 2
Density functional theory data (PBE) for a relaxed structure of CoSi2Ag.

Values from the calculation:
Size of the total moment = 0.0 Bohr magnetons per cell
Distance to the lowest polymorph of the same formula = 0.00 eV per formula unit
Total DFT energy (no corrections) = -21.0 eV/cell
SG = Imm2, No. 44
Energy relative to the elements, uncorrected = -0.04 eV per atom
V = 59 Å³ per cell
DOS(E_F) = 0.4628 states/eV per atom

The structure in extended XYZ format:
```
4
Lattice="-2.1834 3.9938 4.5276 -5.6306 1.7976 2.5065 4.6415 -4.0890 -1.7186" Properties=species:S:1:pos:R:3 pbc="T T T"
Si -0.8066 1.4612 3.2370
Ag -3.4512 2.5579 3.1068
Si -0.5342 0.3959 0.4809
Co -2.2874 0.1831 2.0079
```

No. 3
Density functional theory data (PBE) for a relaxed structure of CdTe2N.

Values from the calculation:
Size of the total moment = 1.8 Bohr magnetons per cell
Distance to the lowest polymorph of the same formula = 2.50 eV per formula unit
Total DFT energy (no corrections) = -10.7 eV/cell
SG = Fm-3m, No. 225
Energy relative to the elements, uncorrected = 1.20 eV per atom
V = 89 Å³ per cell
DOS(E_F) = 0.7619 states/eV per atom

The structure in extended XYZ format:
```
4
Lattice="-2.3511 -3.0680 -3.1838 -4.2415 1.4681 -2.2208 -0.0348 1.0261 -4.9013" Properties=species:S:1:pos:R:3 pbc="T T T"
Cd -3.3136 -0.2869 -5.1529
Te -4.9705 -0.4304 -7.7294
Te -1.6568 -0.1435 -2.5765
N 0.0000 0.0000 0.0000
```

* * * * *

A plane-wave DFT calculation with GGA-PBE was carried out for a geometry-optimized SrBeIr structure.

Structure (CIF):
```
data_SrBeIr
_chemical_formula_sum 'Sr1 Be1 Ir1'
_space_group_name_H-M_alt 'P 1'
_space_group_IT_number 1
_space_group_name_Hall 'P 1'
_cell_length_a 4.4015
_cell_length_b 4.4015
_cell_length_c 4.4015
_cell_angle_alpha 60.00
_cell_angle_beta 60.00
_cell_angle_gamma 60.00
loop_
_atom_site_label
_atom_site_type_symbol
_atom_site_fract_x
_atom_site_fract_y
_atom_site_fract_z
Sr1 Sr 0.5000 0.5000 0.5000
Ir1 Ir 0.0000 0.0000 0.0000
Be1 Be 0.7500 0.7500 0.7500
```

## Properties
SG   F-43m (216)
Electronic total energy   -4.38 eV/atom
Relative energy among the computed polymorphs   2.39 eV per formula unit
Total moment   0.00 μB per formula unit
Density of states at the Fermi level   0.6771 states/eV/atom

* * * * *

1.
~~~

JANET SPENCER is the Extension agent, ANR, for Isle of Wight County. Contact her at 365-6262 or